**File**
'''
Computed, not measured: an isolated ion of composition CH2O3P2 and charge -2, with ωB97M-V with the def2-TZVPD basis set.

The structure (SMILES) is C=P([O-])([O-])P=O. The value obtained for the electronic energy is -25788.1490 eV. The value obtained for the maximum force is 3.18 eV/A. The energy above the lowest of the compared OMol25 structures with the same formula, charge and spin is 170.7 kJ/mol. As for the total charge: -2. As for the LUMO energy (alpha / beta): 7.49 / 7.49 eV. The calculation puts the HOMO-LUMO gap (alpha / beta) at 5.8454 / 5.8997 eV. The value obtained for the HOMO energy (alpha / beta) is 1.6421 / 1.5898 eV.

```
8
Properties=species:S:1:pos:R:3:forces:R:3
C -0.063 -0.495 0.049 1.352 2.634 -0.868
P -1.721 -0.966 -0.084 0.728 0.402 -0.025
O -1.911 -1.908 1.033 -0.885 -1.149 2.834
O -2.166 -1.521 -1.370 -0.838 0.113 -2.737
P -2.630 1.037 0.491 0.857 -0.491 -0.538
O -2.851 1.961 -0.703 -0.084 -0.082 0.323
H 0.330 -0.654 1.051 0.166 0.114 -0.012
H 0.538 0.293 -0.585 -1.295 -1.541 1.023
```
Positions in Å, forces in eV/Å.

Löwdin atomic charge list, values in e, 6 entries: atom 1 (C): -0.313, atom 2 (P): -0.231, atom 3 (O): -0.536, atom 4 (O): -0.503, atom 5 (P): 0.506, atom 6 (O): -0.788

Computed, not measured: C38H59AsN3PPrS2Si2 as an isolated structure, with ωB97M-V with the def2-TZVPD basis set.

As for the spin multiplicity: 3. The value obtained for the electronic energy is -166459.9770 eV. The value obtained for the maximum force is 2.75 eV/A. The energy above the lowest of the compared OMol25 structures with the same formula, charge and spin is 164.0 kJ/mol. As for the total charge: -1. As for the LUMO energy (alpha / beta): 2.34 / 2.34 eV. The calculation puts the HOMO-LUMO gap (alpha / beta) at 6.3188 / 6.3325 eV. The value obtained for the HOMO energy (alpha / beta) is -3.9816 / -3.9958 eV.

```
107
Properties=species:S:1:pos:R:3:forces:R:3
Pr 13.451 16.795 10.517 0.212 -1.401 1.126
S 16.020 17.291 9.287 0.023 0.546 0.009
C 15.292 18.840 9.255 -0.818 -0.012 0.974
N 14.103 19.145 9.810 0.586 0.453 -0.723
C 13.702 20.459 9.532 0.584 -0.029 -1.302
C 12.387 20.985 9.707 1.093 -0.276 -0.414
C 12.103 22.249 9.207 1.304 -0.811 0.215
C 13.101 22.912 8.458 -1.543 1.120 -0.161
C 14.341 22.405 8.164 1.013 -0.793 0.835
C 14.706 21.170 8.760 -2.488 0.727 0.467
S 16.078 20.186 8.509 0.421 0.098 -0.398
H 11.595 20.343 10.079 0.183 0.079 0.385
H 11.145 22.696 9.428 -0.046 0.094 -0.358
H 12.769 23.867 8.034 0.494 -0.209 0.064
H 15.072 22.957 7.562 -0.448 -0.197 0.124
C 7.565 16.466 9.294 -1.589 0.471 -0.716
Si 9.174 17.354 9.635 0.891 -0.409 -0.544
C 9.520 18.572 8.191 -0.472 -0.008 0.487
C 8.637 18.466 11.109 -0.253 0.242 1.375
As 10.850 15.674 9.697 -0.422 0.400 0.954
Si 11.534 15.402 7.486 -0.478 1.249 1.223
C 9.981 15.628 6.505 0.689 -0.694 -2.540
C 12.727 16.709 6.787 0.533 -0.665 -1.034
C 12.328 13.744 7.285 0.007 -1.346 -1.166
H 6.961 17.236 8.710 0.272 -0.903 0.661
H 7.016 16.267 10.238 0.277 0.084 -0.463
H 7.560 15.532 8.696 0.342 0.574 0.343
H 9.514 19.571 8.613 0.343 0.388 0.130
H 8.600 18.570 7.596 0.363 -0.143 -0.527
H 10.453 18.417 7.620 -0.723 -0.011 0.187
H 7.568 18.770 10.965 0.725 -0.198 -0.251
H 9.201 19.425 11.255 -0.255 -0.894 -0.201
H 8.595 17.952 12.124 0.342 0.405 -1.220
H 9.330 16.466 6.710 -0.086 -0.012 0.344
H 9.437 14.675 6.411 -0.118 0.388 0.190
H 10.416 15.822 5.468 -0.738 -0.188 0.761
H 13.644 16.836 7.361 0.289 -0.221 0.053
H 12.329 17.704 6.678 -0.553 0.398 0.115
H 13.030 16.420 5.734 -0.138 0.102 1.010
H 11.941 12.906 7.917 -0.085 0.794 -0.590
H 13.381 13.818 7.583 -0.109 0.092 -0.366
H 12.238 13.455 6.165 0.329 0.249 1.679
C 14.998 19.303 13.664 0.564 0.573 -0.518
C 15.458 17.997 14.395 0.539 0.494 -0.371
C 16.631 17.443 13.516 0.510 -0.522 0.460
C 16.077 18.373 15.772 -0.265 0.342 0.716
P 14.025 16.808 14.267 -0.450 -1.572 -2.208
N 13.533 16.730 12.753 0.422 0.436 1.166
C 12.671 17.311 15.392 -1.693 1.135 0.159
C 11.298 16.753 14.843 1.032 -1.145 1.274
'''

**To do**
It remains to repeat the rows above word for word.

**Outcome**
Computed, not measured: an isolated ion of composition CH2O3P2 and charge -2, with ωB97M-V with the def2-TZVPD basis set.

The structure (SMILES) is C=P([O-])([O-])P=O. The value obtained for the electronic energy is -25788.1490 eV. The value obtained for the maximum force is 3.18 eV/A. The energy above the lowest of the compared OMol25 structures with the same formula, charge and spin is 170.7 kJ/mol. As for the total charge: -2. As for the LUMO energy (alpha / beta): 7.49 / 7.49 eV. The calculation puts the HOMO-LUMO gap (alpha / beta) at 5.8454 / 5.8997 eV. The value obtained for the HOMO energy (alpha / beta) is 1.6421 / 1.5898 eV.

```
8
Properties=species:S:1:pos:R:3:forces:R:3
C -0.063 -0.495 0.049 1.352 2.634 -0.868
P -1.721 -0.966 -0.084 0.728 0.402 -0.025
O -1.911 -1.908 1.033 -0.885 -1.149 2.834
O -2.166 -1.521 -1.370 -0.838 0.113 -2.737
P -2.630 1.037 0.491 0.857 -0.491 -0.538
O -2.851 1.961 -0.703 -0.084 -0.082 0.323
H 0.330 -0.654 1.051 0.166 0.114 -0.012
H 0.538 0.293 -0.585 -1.295 -1.541 1.023
```
Positions in Å, forces in eV/Å.

Löwdin atomic charge list, values in e, 6 entries: atom 1 (C): -0.313, atom 2 (P): -0.231, atom 3 (O): -0.536, atom 4 (O): -0.503, atom 5 (P): 0.506, atom 6 (O): -0.788

Computed, not measured: C38H59AsN3PPrS2Si2 as an isolated structure, with ωB97M-V with the def2-TZVPD basis set.

As for the spin multiplicity: 3. The value obtained for the electronic energy is -166459.9770 eV. The value obtained for the maximum force is 2.75 eV/A. The energy above the lowest of the compared OMol25 structures with the same formula, charge and spin is 164.0 kJ/mol. As for the total charge: -1. As for the LUMO energy (alpha / beta): 2.34 / 2.34 eV. The calculation puts the HOMO-LUMO gap (alpha / beta) at 6.3188 / 6.3325 eV. The value obtained for the HOMO energy (alpha / beta) is -3.9816 / -3.9958 eV.

```
107
Properties=species:S:1:pos:R:3:forces:R:3
Pr 13.451 16.795 10.517 0.212 -1.401 1.126
S 16.020 17.291 9.287 0.023 0.546 0.009
C 15.292 18.840 9.255 -0.818 -0.012 0.974
N 14.103 19.145 9.810 0.586 0.453 -0.723
C 13.702 20.459 9.532 0.584 -0.029 -1.302
C 12.387 20.985 9.707 1.093 -0.276 -0.414
C 12.103 22.249 9.207 1.304 -0.811 0.215
C 13.101 22.912 8.458 -1.543 1.120 -0.161
C 14.341 22.405 8.164 1.013 -0.793 0.835
C 14.706 21.170 8.760 -2.488 0.727 0.467
S 16.078 20.186 8.509 0.421 0.098 -0.398
H 11.595 20.343 10.079 0.183 0.079 0.385
H 11.145 22.696 9.428 -0.046 0.094 -0.358
H 12.769 23.867 8.034 0.494 -0.209 0.064
H 15.072 22.957 7.562 -0.448 -0.197 0.124
C 7.565 16.466 9.294 -1.589 0.471 -0.716
Si 9.174 17.354 9.635 0.891 -0.409 -0.544
C 9.520 18.572 8.191 -0.472 -0.008 0.487
C 8.637 18.466 11.109 -0.253 0.242 1.375
As 10.850 15.674 9.697 -0.422 0.400 0.954
Si 11.534 15.402 7.486 -0.478 1.249 1.223
C 9.981 15.628 6.505 0.689 -0.694 -2.540
C 12.727 16.709 6.787 0.533 -0.665 -1.034
C 12.328 13.744 7.285 0.007 -1.346 -1.166
H 6.961 17.236 8.710 0.272 -0.903 0.661
H 7.016 16.267 10.238 0.277 0.084 -0.463
H 7.560 15.532 8.696 0.342 0.574 0.343
H 9.514 19.571 8.613 0.343 0.388 0.130
H 8.600 18.570 7.596 0.363 -0.143 -0.527
H 10.453 18.417 7.620 -0.723 -0.011 0.187
H 7.568 18.770 10.965 0.725 -0.198 -0.251
H 9.201 19.425 11.255 -0.255 -0.894 -0.201
H 8.595 17.952 12.124 0.342 0.405 -1.220
H 9.330 16.466 6.710 -0.086 -0.012 0.344
H 9.437 14.675 6.411 -0.118 0.388 0.190
H 10.416 15.822 5.468 -0.738 -0.188 0.761
H 13.644 16.836 7.361 0.289 -0.221 0.053
H 12.329 17.704 6.678 -0.553 0.398 0.115
H 13.030 16.420 5.734 -0.138 0.102 1.010
H 11.941 12.906 7.917 -0.085 0.794 -0.590
H 13.381 13.818 7.583 -0.109 0.092 -0.366
H 12.238 13.455 6.165 0.329 0.249 1.679
C 14.998 19.303 13.664 0.564 0.573 -0.518
C 15.458 17.997 14.395 0.539 0.494 -0.371
C 16.631 17.443 13.516 0.510 -0.522 0.460
C 16.077 18.373 15.772 -0.265 0.342 0.716
P 14.025 16.808 14.267 -0.450 -1.572 -2.208
N 13.533 16.730 12.753 0.422 0.436 1.166
C 12.671 17.311 15.392 -1.693 1.135 0.159
C 11.298 16.753 14.843 1.032 -1.145 1.274